Next, start at the top of the data underneath and reproduce each line, ending with the one that has "... 10.068".

┌──
Version w
C7H7N | ωB97M-V with the def2-TZVPD basis set

HOMO-LUMO gap (spin up / spin down) ... 7.812 / 7.819 eV
HOMO (spin up / spin down) ... -9.21 / -9.21 eV
Lowest unoccupied orbital energy (spin up / spin down) ... -1.40 / -1.39 eV

Structure (ORCA input):
```
! wB97M-V def2-TZVPD RIJCOSX def2/J DEFGRID3
* xyz 0 1
C -2.119 -2.089 0.060
C -0.001 -0.370 1.738
C 0.321 -0.302 0.471
C -1.535 -1.954 -1.006
C -1.166 -1.154 1.994
C 0.416 1.390 -1.326
C 1.246 0.664 -0.293
N -1.941 -1.735 1.312
H 0.538 0.118 2.506
H -0.150 -0.852 -0.316
H -0.728 1.188 -1.335
H 0.814 1.240 -2.305
H 0.569 2.402 -1.108
H 1.774 1.404 0.317
H 1.961 0.052 -0.708
*
```

Version x
C7H7N | ωB97M-V with the def2-TZVPD basis set

Structure (SMILES) ... c1ccncc1.C#C
HOMO-LUMO gap ... 10.068 eV
HOMO ... -9.36 eV
Lowest unoccupied orbital energy ... 0.71 eV

Structure (ORCA input):
```
! wB97M-V def2-TZVPD RIJCOSX def2/J DEFGRID3
* xyz 0 1
C -1.242 -1.898 1.830
C -1.947 -2.763 1.355
C -0.624 0.097 -0.716
C 0.019 0.739 -1.750
C 1.121 1.494 -1.393
C 1.556 1.441 -0.062
C 0.752 0.859 0.954
H -0.628 -1.060 2.230
H -2.203 -3.777 0.707
H -1.392 -0.749 -0.990
H -0.309 0.671 -2.814
H 1.701 1.998 -2.157
H 2.513 1.955 0.216
H 1.046 0.896 1.994
N -0.363 0.098 0.594
*
```

Stability ranking, top entry: version x; the second entry is 0.1553 hartree less favorable.

Version w
C3H3NO | ωB97M-V with the def2-TZVPD basis set

Structure (SMILES) ... C=C=O.C#N
HOMO-LUMO gap ... 10.375 eV
HOMO ... -9.59 eV
Lowest unoccupied orbital energy ... 0.78 eV

Structure (ORCA input):
```
! wB97M-V def2-TZVPD RIJCOSX def2/J DEFGRID3
* xyz 0 1
O 1.543 -0.762 1.094
C 0.510 -0.213 1.156
C -0.644 0.406 1.179
C 0.298 -0.257 -1.914
N -0.518 0.457 -2.309
H 1.053 -0.910 -1.520
H -0.829 1.179 0.442
H -1.414 0.101 1.873
*
```

Version x
C3H3NO | ωB97M-V with the def2-TZVPD basis set

HOMO-LUMO gap ... 11.568 eV
HOMO ... -11.37 eV
Lowest unoccupied orbital energy ... 0.20 eV

Structure (ORCA input):
```
! wB97M-V def2-TZVPD RIJCOSX def2/J DEFGRID3
* xyz 0 1
C -0.856 -0.308 0.075
C 0.317 0.621 0.128
O 0.334 1.807 0.098
C 1.966 -0.325 -0.823
N 1.618 -0.153 0.308
H -1.784 0.261 0.137
H -0.838 -0.910 -0.843
H -0.758 -0.992 0.921
*
```

Version y
C3H3NO | ωB97M-V with the def2-TZVPD basis set

HOMO-LUMO gap ... 8.634 eV
HOMO ... -8.78 eV
Lowest unoccupied orbital energy ... -0.14 eV

Structure (ORCA input):
```
! wB97M-V def2-TZVPD RIJCOSX def2/J DEFGRID3
* xyz 0 1
O 0.502 -1.212 0.040
C 1.214 -0.020 -0.095
C 0.464 1.119 -0.023
C -0.801 0.490 0.210
N -0.760 -0.938 0.274
H 2.266 -0.224 -0.253
H -1.162 -0.181 -0.771
H -1.744 0.922 0.544
*
```

Stability ranking, top entry: version w; the second entry is 0.0050 hartree less favorable.

Version w
C5H10N2O | ωB97M-V with the def2-TZVPD basis set

HOMO-LUMO gap (spin up / spin down) ... 5.629 / 7.007 eV
HOMO (spin up / spin down) ... -4.65 / -9.10 eV
Lowest unoccupied orbital energy (spin up / spin down) ... 0.98 / -2.09 eV

Structure (ORCA input):
```
! wB97M-V def2-TZVPD RIJCOSX def2/J DEFGRID3
* xyz 0 3
C 0.792 0.479 0.528
C 2.260 0.106 0.325
C 0.093 -1.170 -0.170
C -0.887 -0.887 -1.285
C -1.055 1.954 0.899
N 0.337 1.603 0.887
N 1.317 -1.778 -0.534
O 2.366 -0.884 -0.626
H 2.785 0.996 0.114
H 2.643 -0.240 1.277
H -0.339 -1.608 0.738
H -1.839 -1.526 -1.288
H -0.493 -0.835 -2.305
H -1.141 0.163 -1.261
H -1.262 2.113 -0.087
H -1.171 2.875 1.348
H -1.569 1.191 1.509
H 1.626 -2.500 0.050
*
```

Version x
C5H10N2O | ωB97M-V with the def2-TZVPD basis set

HOMO-LUMO gap (spin up / spin down) ... 6.239 / 6.926 eV
HOMO (spin up / spin down) ... -5.37 / -8.65 eV
Lowest unoccupied orbital energy (spin up / spin down) ... 0.87 / -1.72 eV

Structure (ORCA input):
```
! wB97M-V def2-TZVPD RIJCOSX def2/J DEFGRID3
* xyz 0 3
C -3.206 1.213 -0.073
C -2.544 0.083 -0.197
C 1.488 0.837 0.864
C 2.065 -0.503 0.576
C 1.031 -1.354 -0.224
N 2.065 1.712 0.226
N 3.271 -0.259 -0.254
O 3.246 0.997 -0.755
H -3.199 1.696 0.799
H -3.693 1.744 -1.011
H -2.017 -0.395 0.676
H -2.420 -0.343 -1.117
└──

Version w
C7H7N | ωB97M-V with the def2-TZVPD basis set

HOMO-LUMO gap (spin up / spin down) ... 7.812 / 7.819 eV
HOMO (spin up / spin down) ... -9.21 / -9.21 eV
Lowest unoccupied orbital energy (spin up / spin down) ... -1.40 / -1.39 eV

Structure (ORCA input):
```
! wB97M-V def2-TZVPD RIJCOSX def2/J DEFGRID3
* xyz 0 1
C -2.119 -2.089 0.060
C -0.001 -0.370 1.738
C 0.321 -0.302 0.471
C -1.535 -1.954 -1.006
C -1.166 -1.154 1.994
C 0.416 1.390 -1.326
C 1.246 0.664 -0.293
N -1.941 -1.735 1.312
H 0.538 0.118 2.506
H -0.150 -0.852 -0.316
H -0.728 1.188 -1.335
H 0.814 1.240 -2.305
H 0.569 2.402 -1.108
H 1.774 1.404 0.317
H 1.961 0.052 -0.708
*
```

Version x
C7H7N | ωB97M-V with the def2-TZVPD basis set

Structure (SMILES) ... c1ccncc1.C#C
HOMO-LUMO gap ... 10.068 eV